**Exercise:**
Return the whole of the contents further down with every line break kept.
**Source:**
Record 1
62
Properties=species:S:1:pos:R:3:forces:R:3 method="wB97M-V/def2-TZVPD" total_charge=+2 spin_multiplicity=6 e_homo_ev="-12.0 / -14.2" s2=8.79 homo_lumo_gap_ev="6.4 / 5.9" relative_energy_kj_mol=162.0
P -0.5155 2.9463 -0.9822 3.0710 1.6251 1.2520
P 2.2983 0.0931 -0.8613 3.5920 -1.1989 -1.0224
C 1.2580 2.6541 -0.6131 -0.1791 0.4154 0.2920
C 2.1562 1.8093 -1.5001 -0.6311 -0.3869 0.0498
H 1.1779 2.2644 0.4193 0.4738 0.2663 -0.3525
H 1.7030 3.6604 -0.5758 -0.3283 -0.1294 0.2921
H 1.8798 1.7990 -2.5704 -0.0583 -0.0640 0.5008
H 3.1853 2.2015 -1.4445 -0.3724 -0.2838 -0.0740
C 4.0291 0.1420 -0.1844 -0.0889 0.1024 0.5490
H 4.2038 -0.6856 0.5077 0.0051 0.3306 -0.0514
H 4.2871 1.1098 0.2655 -0.1857 -0.3575 0.1799
H 4.7008 -0.0093 -1.0404 -0.3093 0.2063 0.3533
C 2.8299 -0.8485 -2.3341 -0.4202 -0.1698 -0.3890
H 3.8332 -0.5112 -2.6241 -0.5319 0.1373 -0.0352
H 2.1483 -0.6881 -3.1749 0.0199 -0.3775 0.0753
H 2.9360 -1.9129 -2.0834 -0.1104 0.3657 -0.1929
C -0.8941 4.0926 0.3981 0.2538 -0.6013 -0.4078
H -1.9836 4.1639 0.4891 0.2426 0.2972 0.0752
H -0.4226 5.0474 0.1788 -0.1179 0.2156 0.3137
H -0.4897 3.6345 1.3067 -0.0725 0.3025 -0.0020
C -0.5884 3.7460 -2.6174 0.5158 0.3890 0.8238
H 0.2015 3.2652 -3.1977 -0.3653 0.2494 -0.3872
H -0.4240 4.8147 -2.4727 -0.2557 0.0166 -0.6136
H -1.5981 3.5093 -3.0650 0.4392 0.6774 -0.5894
Ir -2.4252 2.3547 -1.5657 -2.5618 -2.5473 -0.8142
C 2.7401 -2.6257 1.1164 -0.5357 -1.7152 -3.5516
C 2.9465 -1.9039 2.2552 0.5635 1.9484 4.0075
C 2.6048 -0.4687 2.6532 0.6509 0.2766 0.1496
C 1.2003 0.1818 2.3373 1.0603 0.2605 1.3457
C 0.4888 -0.5189 1.3136 -1.1510 -0.4152 -0.3282
C 0.9705 -0.8405 -0.0287 -1.8264 1.5246 -1.9158
C 0.8181 -2.3196 -0.4380 0.2099 0.1212 0.0071
C 1.4595 -3.2287 0.6030 0.4522 -0.7906 0.2919
C -4.3368 3.0533 -1.8364 -0.4204 0.4381 -0.4285
H 3.6070 -2.9260 0.5124 -0.0705 0.3961 -0.0353
H 3.6076 -2.3878 3.0000 -0.6490 0.1098 -0.0561
H 3.3921 0.2008 2.2734 -0.1767 -0.0255 -0.0724
H 2.7572 -0.3883 3.7324 -0.0984 -0.1680 -0.0743
H 0.5904 0.1927 3.2594 0.3296 0.0735 -0.4055
H 1.3963 1.2542 2.0845 -0.1066 -0.4782 0.2147
H -0.5593 -0.7968 1.4408 0.5039 0.0816 0.0789
H 0.1335 -0.3618 -0.6345 0.4665 -0.1924 -0.0302
H 1.2584 -2.4938 -1.4143 -0.0959 -0.0250 -0.0171
H -0.2518 -2.5089 -0.5600 0.0342 -0.0692 0.1861
H 0.7418 -3.4660 1.4032 0.2831 0.0477 -0.1725
H 1.7663 -4.1429 0.0790 -0.4816 -0.1190 0.3052
H -4.8399 2.3886 -2.5768 0.1171 0.6363 0.5428
H -4.2630 4.0999 -2.2131 -0.4943 -0.6574 0.2249
H -4.8368 2.9935 -0.8418 0.1671 0.2014 -0.7234
C -2.5495 0.7797 -0.6428 -0.7043 -2.5679 1.6099
C -2.7059 -0.3139 -0.0284 -0.2532 1.2750 -0.7868
C -3.1787 -1.5268 0.5196 0.0429 -0.4193 0.2561
C -2.8091 -1.9661 1.8227 -0.3309 -0.3483 0.1536
C -3.3152 -3.1663 2.3434 0.1300 1.0353 -1.0173
C -4.1968 -3.9282 1.5611 0.0425 0.0215 0.0557
C -4.5923 -3.5134 0.2850 0.5883 0.9870 -0.0258
C -4.0828 -2.3226 -0.2378 0.0691 -0.1624 0.2013
H -2.1539 -1.3315 2.4224 -0.2732 -0.2900 -0.0796
H -3.0360 -3.4657 3.3395 -0.0173 -0.1493 0.0884
H -4.5929 -4.8575 1.9576 0.0365 0.1019 -0.0084
H -5.2969 -4.0789 -0.3022 -0.0449 -0.1723 0.0279
H -4.3683 -1.9478 -1.2183 -0.0418 -0.2516 0.1564

---

Record 2
67
Properties=species:S:1:pos:R:3:forces:R:3 method="wB97M-V/def2-TZVPD" e_homo_ev=-8.6 homo_lumo_gap_ev=9.2
C -0.5915 2.2741 -4.4402 -4.4007 -2.7985 -3.7732
H -0.1670 1.2682 -4.7781 -0.5611 1.2048 -0.1967
O 0.0756 2.7253 -3.4214 3.0700 3.1285 3.4287
C 1.2495 3.3906 -3.7068 -1.5733 -1.6555 -3.0374
C 1.7578 3.3449 -5.0002 9.8456 7.7897 8.7729
C 3.2185 3.9993 -5.0651 -2.0803 -0.0454 -0.8658
C 3.8548 4.7633 -3.9414 -4.9279 -5.2333 -8.8279
C 3.1244 4.6014 -2.9310 0.1630 3.8065 10.5955
C 1.8969 4.0785 -2.7644 -2.6683 1.3190 4.8878
C 1.1267 4.1888 -1.3149 6.5279 -4.0380 -3.7128
N 1.1468 2.8056 -0.8352 -10.5290 4.2086 0.6743
C -0.1947 2.4058 -0.5650 -3.0232 2.0310 3.7695
O -1.4587 3.1751 -0.4112 8.1130 -3.9802 -1.7434
C -0.2146 0.9045 0.0079 -6.0484 5.3004 -0.9227
N -1.4946 0.7107 0.7686 9.7427 -2.9141 5.8802
**Worked solution:**
Record 1
62
Properties=species:S:1:pos:R:3:forces:R:3 method="wB97M-V/def2-TZVPD" total_charge=+2 spin_multiplicity=6 e_homo_ev="-12.0 / -14.2" s2=8.79 homo_lumo_gap_ev="6.4 / 5.9" relative_energy_kj_mol=162.0
P -0.5155 2.9463 -0.9822 3.0710 1.6251 1.2520
P 2.2983 0.0931 -0.8613 3.5920 -1.1989 -1.0224
C 1.2580 2.6541 -0.6131 -0.1791 0.4154 0.2920
C 2.1562 1.8093 -1.5001 -0.6311 -0.3869 0.0498
H 1.1779 2.2644 0.4193 0.4738 0.2663 -0.3525
H 1.7030 3.6604 -0.5758 -0.3283 -0.1294 0.2921
H 1.8798 1.7990 -2.5704 -0.0583 -0.0640 0.5008
H 3.1853 2.2015 -1.4445 -0.3724 -0.2838 -0.0740
C 4.0291 0.1420 -0.1844 -0.0889 0.1024 0.5490
H 4.2038 -0.6856 0.5077 0.0051 0.3306 -0.0514
H 4.2871 1.1098 0.2655 -0.1857 -0.3575 0.1799
H 4.7008 -0.0093 -1.0404 -0.3093 0.2063 0.3533
C 2.8299 -0.8485 -2.3341 -0.4202 -0.1698 -0.3890
H 3.8332 -0.5112 -2.6241 -0.5319 0.1373 -0.0352
H 2.1483 -0.6881 -3.1749 0.0199 -0.3775 0.0753
H 2.9360 -1.9129 -2.0834 -0.1104 0.3657 -0.1929
C -0.8941 4.0926 0.3981 0.2538 -0.6013 -0.4078
H -1.9836 4.1639 0.4891 0.2426 0.2972 0.0752
H -0.4226 5.0474 0.1788 -0.1179 0.2156 0.3137
H -0.4897 3.6345 1.3067 -0.0725 0.3025 -0.0020
C -0.5884 3.7460 -2.6174 0.5158 0.3890 0.8238
H 0.2015 3.2652 -3.1977 -0.3653 0.2494 -0.3872
H -0.4240 4.8147 -2.4727 -0.2557 0.0166 -0.6136
H -1.5981 3.5093 -3.0650 0.4392 0.6774 -0.5894
Ir -2.4252 2.3547 -1.5657 -2.5618 -2.5473 -0.8142
C 2.7401 -2.6257 1.1164 -0.5357 -1.7152 -3.5516
C 2.9465 -1.9039 2.2552 0.5635 1.9484 4.0075
C 2.6048 -0.4687 2.6532 0.6509 0.2766 0.1496
C 1.2003 0.1818 2.3373 1.0603 0.2605 1.3457
C 0.4888 -0.5189 1.3136 -1.1510 -0.4152 -0.3282
C 0.9705 -0.8405 -0.0287 -1.8264 1.5246 -1.9158
C 0.8181 -2.3196 -0.4380 0.2099 0.1212 0.0071
C 1.4595 -3.2287 0.6030 0.4522 -0.7906 0.2919
C -4.3368 3.0533 -1.8364 -0.4204 0.4381 -0.4285
H 3.6070 -2.9260 0.5124 -0.0705 0.3961 -0.0353
H 3.6076 -2.3878 3.0000 -0.6490 0.1098 -0.0561
H 3.3921 0.2008 2.2734 -0.1767 -0.0255 -0.0724
H 2.7572 -0.3883 3.7324 -0.0984 -0.1680 -0.0743
H 0.5904 0.1927 3.2594 0.3296 0.0735 -0.4055
H 1.3963 1.2542 2.0845 -0.1066 -0.4782 0.2147
H -0.5593 -0.7968 1.4408 0.5039 0.0816 0.0789
H 0.1335 -0.3618 -0.6345 0.4665 -0.1924 -0.0302
H 1.2584 -2.4938 -1.4143 -0.0959 -0.0250 -0.0171
H -0.2518 -2.5089 -0.5600 0.0342 -0.0692 0.1861
H 0.7418 -3.4660 1.4032 0.2831 0.0477 -0.1725
H 1.7663 -4.1429 0.0790 -0.4816 -0.1190 0.3052
H -4.8399 2.3886 -2.5768 0.1171 0.6363 0.5428
H -4.2630 4.0999 -2.2131 -0.4943 -0.6574 0.2249
H -4.8368 2.9935 -0.8418 0.1671 0.2014 -0.7234
C -2.5495 0.7797 -0.6428 -0.7043 -2.5679 1.6099
C -2.7059 -0.3139 -0.0284 -0.2532 1.2750 -0.7868
C -3.1787 -1.5268 0.5196 0.0429 -0.4193 0.2561
C -2.8091 -1.9661 1.8227 -0.3309 -0.3483 0.1536
C -3.3152 -3.1663 2.3434 0.1300 1.0353 -1.0173
C -4.1968 -3.9282 1.5611 0.0425 0.0215 0.0557
C -4.5923 -3.5134 0.2850 0.5883 0.9870 -0.0258
C -4.0828 -2.3226 -0.2378 0.0691 -0.1624 0.2013
H -2.1539 -1.3315 2.4224 -0.2732 -0.2900 -0.0796
H -3.0360 -3.4657 3.3395 -0.0173 -0.1493 0.0884
H -4.5929 -4.8575 1.9576 0.0365 0.1019 -0.0084
H -5.2969 -4.0789 -0.3022 -0.0449 -0.1723 0.0279
H -4.3683 -1.9478 -1.2183 -0.0418 -0.2516 0.1564

---

Record 2
67
Properties=species:S:1:pos:R:3:forces:R:3 method="wB97M-V/def2-TZVPD" e_homo_ev=-8.6 homo_lumo_gap_ev=9.2
C -0.5915 2.2741 -4.4402 -4.4007 -2.7985 -3.7732
H -0.1670 1.2682 -4.7781 -0.5611 1.2048 -0.1967
O 0.0756 2.7253 -3.4214 3.0700 3.1285 3.4287
C 1.2495 3.3906 -3.7068 -1.5733 -1.6555 -3.0374
C 1.7578 3.3449 -5.0002 9.8456 7.7897 8.7729
C 3.2185 3.9993 -5.0651 -2.0803 -0.0454 -0.8658
C 3.8548 4.7633 -3.9414 -4.9279 -5.2333 -8.8279
C 3.1244 4.6014 -2.9310 0.1630 3.8065 10.5955
C 1.8969 4.0785 -2.7644 -2.6683 1.3190 4.8878
C 1.1267 4.1888 -1.3149 6.5279 -4.0380 -3.7128
N 1.1468 2.8056 -0.8352 -10.5290 4.2086 0.6743
C -0.1947 2.4058 -0.5650 -3.0232 2.0310 3.7695
O -1.4587 3.1751 -0.4112 8.1130 -3.9802 -1.7434
C -0.2146 0.9045 0.0079 -6.0484 5.3004 -0.9227
N -1.4946 0.7107 0.7686 9.7427 -2.9141 5.8802